Source >
+++
DFT (wB97M-V/def2-TZVPD) results for 4 unconnected molecules or ions with the total composition C29H49Br2ClF11N6O8S in a non-equilibrium geometry.

```
107
Properties=species:S:1:pos:R:3:lowdin_charge:R:1
N 3.27723 -3.98761 -1.29325 0.156
C 2.41858 -3.04286 -0.71903 -0.121
N 3.01487 -2.17641 0.36601 0.076
C 2.33783 -0.83076 0.49351 -0.258
C 2.84282 -0.16017 1.89894 -0.127
C 4.42989 -0.54713 2.25594 -0.180
C 5.47848 -0.17182 1.05308 -0.212
C 6.36484 -1.50678 0.70495 -0.246
S 6.52192 -1.90602 -1.11812 0.502
O 7.97873 -1.60507 -1.62829 -0.396
O 6.36956 -3.47118 -1.25605 -0.461
Cl 5.05411 -1.06492 -2.34020 0.346
C 0.67274 -0.91018 0.34901 -0.236
C 0.14259 0.63678 0.37443 -0.067
C -1.09721 0.94696 1.39770 -0.151
O -2.42938 0.59217 0.80298 -0.197
C -3.46288 0.51325 1.84623 -0.074
C -4.71922 -0.42138 1.25859 -0.126
F -4.22345 -1.73373 0.75135 -0.007
F -5.34806 0.26011 0.06539 -0.011
C -5.93439 -0.57345 2.38249 -0.086
F -7.22061 0.04092 1.90588 0.036
F -5.51076 0.28448 3.55176 -0.002
C -6.10349 -2.09117 2.97794 -0.110
F -4.80153 -2.64640 3.48460 0.011
F -7.00603 -2.02189 4.18109 0.016
C -6.78086 -3.17300 1.94911 -0.060
F -7.91768 -3.91677 2.56509 -0.035
F -7.21657 -2.61687 0.64744 -0.009
C 0.16743 -1.85125 1.59176 -0.118
O -1.21091 -2.35252 1.47954 -0.208
O -1.38463 -3.14745 2.52629 -0.058
C 0.43679 -1.62675 -1.14404 -0.238
C -1.11559 -1.58652 -1.65633 -0.160
C -1.40128 -0.47365 -2.86266 -0.205
C -2.46676 -0.99669 -3.99302 -0.607
F -3.01670 0.17240 -4.73146 -0.077
Br -4.04916 -1.89007 -3.06519 0.790
C -1.88376 -2.11681 -5.03756 -0.623
F -2.25518 -1.63520 -6.41954 -0.069
F -2.55268 -3.44364 -4.88515 -0.121
Br 0.10140 -2.35053 -5.02002 0.767
N 0.98722 -3.03399 -1.20609 0.098
H 3.58907 -4.80351 -0.69286 0.161
H 3.60617 -3.95580 -2.28418 0.139
H 2.99150 -2.72635 1.25432 0.145
H 2.71302 -0.14793 -0.38811 0.147
H 2.79671 1.00955 1.78960 0.131
H 2.23120 -0.46018 2.84969 0.119
H 4.48527 -1.69009 2.59422 0.109
H 4.71464 0.09074 3.21393 0.134
H 6.24956 0.63443 1.47702 0.109
H 4.89921 0.29320 0.14892 0.087
H 7.47390 -1.33699 1.11227 0.145
H 5.99097 -2.49533 1.23861 0.115
H -0.25655 0.89626 -0.71996 0.134
H 0.97637 1.44509 0.59333 0.133
H -1.14026 2.13436 1.51318 0.152
H -0.97049 0.53093 2.48427 0.126
H -3.08406 -0.04420 2.80294 0.149
H -3.90421 1.58247 2.03898 0.169
H -5.94474 -3.98527 1.70514 0.195
H 0.85541 -2.81500 1.74251 0.143
H 0.22491 -1.28419 2.64082 0.134
H -1.38300 -2.59798 3.38020 0.145
H 1.06566 -0.94867 -1.89866 0.158
H -1.91674 -1.37318 -0.83178 0.100
H -1.37648 -2.66793 -2.08943 0.115
H -0.40115 -0.01705 -3.30678 0.112
H -1.93084 0.44040 -2.30637 0.136
H 0.42600 -3.69934 -0.62657 0.165
C 7.45389 3.06697 0.87625 -0.310
O 6.36923 2.68019 1.29210 -0.033
N 7.76519 3.30558 -0.44546 -0.190
C 9.07603 3.76328 -0.85722 -0.057
C 6.74997 3.09230 -1.45598 -0.046
H 8.29680 3.26047 1.56009 0.135
H 8.97108 4.72616 -1.36539 0.090
H 9.50664 3.03018 -1.54543 0.092
H 9.74062 3.88177 0.00286 0.087
H 5.89202 3.73607 -1.24014 0.054
H 6.42508 2.04820 -1.41939 0.075
H 7.14122 3.32149 -2.45094 0.094
C -12.80064 -2.85279 3.46111 -0.328
O -13.67041 -2.37740 4.17980 0.006
N -11.54471 -2.31900 3.26498 -0.206
C -10.56961 -2.94407 2.39562 -0.068
C -11.18719 -1.09391 3.94956 -0.048
H -12.96762 -3.78343 2.89401 0.128
H -9.68058 -3.19281 2.98224 0.064
H -10.30074 -2.24073 1.60220 0.091
H -10.96986 -3.85671 1.94577 0.090
H -11.26872 -1.25247 5.02906 0.094
H -11.88585 -0.30492 3.65556 0.094
H -10.16629 -0.79438 3.69744 0.079
C 3.94592 5.49128 -2.85778 -0.295
O 4.66347 4.87682 -2.07894 -0.020
N 4.36999 6.46137 -3.74087 -0.203
C 3.45524 7.14407 -4.63221 -0.060
C 5.77502 6.81019 -3.77991 -0.043
H 2.86067 5.30412 -2.91044 0.132
H 3.76658 6.96327 -5.66505 0.092
H 3.48991 8.21676 -4.42095 0.093
H 2.43143 6.78467 -4.49768 0.086
H 6.35662 5.91770 -4.02951 0.091
H 6.08126 7.16527 -2.79139 0.096
H 5.95893 7.58963 -4.52435 0.092
```

Output
DFT total energy (a.u.): -9168.87892
Total charge: +1
HOMO energy (eV): -10.0
2S+1: 1
Frontier orbital gap (eV): 4.279
+++

Brief >
It remains to find "2.71302 -0.14793" and "1.56009 0.135" in the contents above, and set down these two lines and those between.

Completed >
H 2.71302 -0.14793 -0.38811 0.147
H 2.79671 1.00955 1.78960 0.131
H 2.23120 -0.46018 2.84969 0.119
H 4.48527 -1.69009 2.59422 0.109
H 4.71464 0.09074 3.21393 0.134
H 6.24956 0.63443 1.47702 0.109
H 4.89921 0.29320 0.14892 0.087
H 7.47390 -1.33699 1.11227 0.145
H 5.99097 -2.49533 1.23861 0.115
H -0.25655 0.89626 -0.71996 0.134
H 0.97637 1.44509 0.59333 0.133
H -1.14026 2.13436 1.51318 0.152
H -0.97049 0.53093 2.48427 0.126
H -3.08406 -0.04420 2.80294 0.149
H -3.90421 1.58247 2.03898 0.169
H -5.94474 -3.98527 1.70514 0.195
H 0.85541 -2.81500 1.74251 0.143
H 0.22491 -1.28419 2.64082 0.134
H -1.38300 -2.59798 3.38020 0.145
H 1.06566 -0.94867 -1.89866 0.158
H -1.91674 -1.37318 -0.83178 0.100
H -1.37648 -2.66793 -2.08943 0.115
H -0.40115 -0.01705 -3.30678 0.112
H -1.93084 0.44040 -2.30637 0.136
H 0.42600 -3.69934 -0.62657 0.165
C 7.45389 3.06697 0.87625 -0.310
O 6.36923 2.68019 1.29210 -0.033
N 7.76519 3.30558 -0.44546 -0.190
C 9.07603 3.76328 -0.85722 -0.057
C 6.74997 3.09230 -1.45598 -0.046
H 8.29680 3.26047 1.56009 0.135